7. Reverso Reversois a free online language tool for spell and grammar checks, translation, dictionary lookups and verb conjugation. It uses Artificial Intelligence and Neural Machine Translation. You can also listen to the pronunciation by native speakers. Reverso has a straightforward web interface....
These materials data were left in the text by mistake >
# GGA-PBE BeCo3B, relaxed
# * final energy: -6.253 eV/atom
# * calculated formation energy: 0.091 eV per atom
# * volume: 10.3 Å³ per atom
# * M_tot: 0.4040 μB per atom
# * space-group type: Pm-3m, No. 221
data_BeCo3B
_space_group_name_H-M_alt 'P 1'
_space_group_IT_number 1
_cell_length_a 3.715
_cell_length_b 3.715
_cell_length_c 3.715
_cell_angle_alpha 90.00
_cell_angle_beta 90.00
_cell_angle_gamma 90.00
loop_
_space_group_symop_operation_xyz
'x,y,z'
loop_
_atom_site_label
_atom_site_type_symbol
_atom_site_fract_x
_atom_site_fract_y
_atom_site_fract_z
_atom_site_occupancy
Be1 Be 0.000 0.000 0.000 1
Co1 Co 0.000 0.500 0.500 1
Co2 Co 0.500 0.000 0.500 1
Co3 Co 0.500 0.500 0.000 1
B1 B 0.500 0.500 0.500 1
6. Reverso Here’s another free grammar checker you might like. Reverso is a modest web-based tool that checks text for grammar and spelling errors without asking for a single cent. You just have to type or paste the words into the main text field. Clicking ‘Check’ doesn’t merely...
17. Reverso (Free) Reversois best known as an online translator for people learning English. However, it has an online English grammar and spellchecker as well. It is quite basic, though, with a very small limit of only 600 characters. Not enough to check very much at all apart from per...
Reversolets you translate your content into several different languages such as French, Spanish, German, Italian, Russian, Portuguese, Chinese, Arabic, Hebrew, and Japanese along with grammar checking. Go to the site and put in your text to check definitions, synonyms, conjugator, and grammar. I...
Reverso Spelleris an online tool that lets you check grammar and spelling of text pasted into the online form. It also has proofreading tools. A few other online spelling and grammar check tools includeVirtual Writing Tutor,SpellBoy,NounPlus andSentence Checker....
Reverso The main selling point of this online grammar checker is the fact that it supports many different languages including Spanish, French, Italian, German, Polish, Russian, Arabic, Hebrew, and more. Although it does check for grammar and spelling, it is most well suited for translating piec...
Reverso is available online and as an add-on for macOS, as well as a separate app through the Apple Store and Google Play. Users interested in the service can opt into a free trial, which allows them to translate or check around 2,500 words. After that limit is reached, they can buy...
2.Reverso Reverso is an all-in-one tool that lets you performFrench grammar check online,as it can detect and correct different grammatical mistakes. Furthermore, you can spell-check your French document for mistakes, like wrong verb tenses, lack of connection, and more. With the help of th...
Top Free Online Grammar Checkers If you want a free grammar check online tool, you can try: Grammarly, Ginger Grammar Checker, Scribens Grammar Checker, GrammarCheck, Reverso Grammar Checker, LanguageTool, Virtual Writing Tutor, Grammarix, Free Grammar Check, GradeMiners Grammar Check, Sentence Chec...
门户网站 Reverso 是一个语言工具集的门户网站 ,其包括全文翻译 ,词典查询 ,拼写检查 ,动词变位 ,语法知识,朗读(点击页面上的小喇叭或选中相关单词并单击即可 ) 。 ParaCrawl Corpus Authoring tools can adapt spelling and grammar checking based on the language of the content, or ignore content that is...